How to compress your Keras model x5 smaller with TensorFlow model optimization

Chengwei Zhang
4 min readMay 19, 2019


This tutorial will demonstrate how you can reduce the size of your Keras model by 5 times with TensorFlow model optimization, which can be particularly important for deployment in resource-constraint environments.

From the official TensorFlow model optimization documentation. Weight pruning means eliminating unnecessary values in weight tensors. We set the neural network parameters’ values to zero to remove what we estimate are unnecessary connections between the layers of a neural network. This is done during the training process to allow the neural network to adapt to the changes.

Here is a breakdown of how you can adopt this technique.

  1. Train Keras model to reach an acceptable accuracy as always.
  2. Make Keras layers or model ready to be pruned.
  3. Create a pruning schedule and train the model for more epochs.
  4. Export the pruned model by striping pruning wrappers from the model.
  5. Convert Keras model to TensorFlow Lite with optional quantization.

Prune your pre-trained Keras model

Your pre-trained model has already achieved desirable accuracy, you want to cut down its size while maintaining the performance. The pruning API can help you make it happen.

To use the pruning API, install the tensorflow-model-optimization and tf-nightly packages.

pip uninstall -yq tensorflow
pip uninstall -yq tf-nightly
pip install -Uq tf-nightly-gpu
pip install -q tensorflow-model-optimization

Then you can load your previous trained model and make it “prunable”. The Keras-based API can be applied at the level of individual layers, or the entire model. Since you have the entire model pre-trained, it is easier to apply the pruning to the entire model. The algorithm will be applied to all layers capable of weight pruning.

Quantum chemistry results, kept here for reference.
=====
10
Properties=species:S:1:pos:R:3 method="wB97M-V/def2-TZVPD" e_homo_ev=-8.772 e_above_lowest_kcal_mol=80.7 homo_lumo_gap_ev=9.73 lumo_ev=0.962 max_force_ev_per_a=5.77
C 1.11 -0.51 -0.23
C -0.08 -0.16 0.47
C -1.14 0.82 -0.10
H 0.43 -1.23 -1.21
H 1.61 0.62 -0.53
H 2.00 -1.03 0.67
H 0.07 -0.21 1.54
H -0.86 1.04 -1.20
H -1.50 1.44 0.61
S -1.64 -0.78 -0.03
=====

For the pruning schedule, we start at the sparsity level 50% and gradually train the model to reach 90% sparsity. X% sparsity means that X% of the weight tensor is going to be pruned away.

Furthermore, we give the model some time to recover after each pruning step, so pruning does not happen on every step. We set the pruning frequency to 100. Similar to pruning a bonsai, we are trimming it gradually so that the tree can adequately heal the wound created during pruning instead of cutting 90% of its branches in one day.

Given the model already reached a satisfactory accuracy, we can start pruning immediately. As a result, we set the begin_step to 0 here, and only train for another four epochs.

The end step is calculated given the number of train example, batch size, and the total epochs to train.

## Misplaced calculated molecules
+++
No. 1
One molecule with the formula C20H21N3O5S at a distorted geometry. Source: the OMol25 dataset; level of theory: ωB97M-V/def2-TZVPD.

Properties
SMILES = CC(C)Cn1c(=O)c(C(=O)Nc2ccccc2S(N)(=O)=O)c(O)c2ccccc21
relative energy (zero: lowest compared OMol25 entry of this formula, charge and spin) = 0.0 kcal per mole
HOMO energy = -8.57 eV
orbital gap = 8.49 eV

Structure (ORCA input):
```
! RIJCOSX wB97M-V def2-TZVPD def2/J DEFGRID3
* xyz 0 1
S 3.346 -1.257 0.002
O 3.171 -1.772 -1.323
O 0.176 -0.546 -1.284
O 2.230 -1.261 0.907
O 1.005 3.275 0.065
O -1.471 3.558 0.395
N -2.004 -0.357 -0.736
N 1.862 1.240 -0.496
N 4.589 -2.149 0.720
C -4.392 -0.129 -0.353
C -2.260 -2.609 0.292
C -2.170 -4.090 -0.068
C -2.921 1.748 -0.020
C 0.838 2.094 -0.269
C -1.173 -2.230 1.296
C 5.412 0.545 0.082
C 5.141 2.910 -0.159
C -4.026 2.532 0.335
C 4.052 0.382 -0.078
C 3.212 1.474 -0.301
C -5.464 0.660 -0.005
C -5.290 1.997 0.343
C 3.779 2.751 -0.331
C -3.091 0.394 -0.372
C -0.518 1.523 -0.384
C -0.721 0.160 -0.828
C -2.127 -1.782 -0.997
C -1.595 2.306 -0.002
C 5.965 1.814 0.041
H -1.329 -1.221 1.675
H 1.575 0.283 -0.747
H -1.193 -2.912 2.142
H 4.341 -2.420 1.658
H -4.573 -1.157 -0.621
H -0.489 3.776 0.362
H -6.456 0.232 -0.005
H -0.185 -2.269 0.842
H -1.203 -2.074 -1.503
H -2.964 -1.965 -1.673
H -1.190 -4.314 -0.482
H -3.236 -2.416 0.752
H 4.825 -2.951 0.157
H -2.319 -4.704 0.816
H -3.850 3.563 0.598
H -2.926 -4.358 -0.804
H 5.563 3.903 -0.187
H 3.143 3.606 -0.486
H 7.029 1.945 0.167
H -6.140 2.602 0.616
H 6.020 -0.328 0.249
*
```


No. 2
One molecule with the formula C20H21N5O6S3 at a distorted geometry. Source: the OMol25 dataset; level of theory: ωB97M-V/def2-TZVPD.

Properties
SMILES = Cc1cc(NS(=O)(=O)c2ccc(NC(=S)NC(=O)c3cccc(S(=O)(=O)N(C)C)c3)cc2)no1
HOMO energy = -8.80 eV
orbital gap = 8.20 eV

Structure (ORCA input):
```
! RIJCOSX wB97M-V def2-TZVPD def2/J DEFGRID3
* xyz 0 1
S -6.076 0.583 -1.555
S -0.263 3.258 1.719
S 7.222 -0.551 -1.003
O -5.244 -2.720 1.091
O -6.684 1.841 -1.868
O 1.888 -0.144 -0.354
O 8.540 -0.172 -0.596
O 6.769 -0.221 -2.318
O -6.231 -0.497 -2.480
N 7.094 -2.202 -0.820
N 1.640 1.692 0.972
N -6.769 0.162 -0.059
N -5.269 -1.591 0.328
N -0.405 1.146 0.039
C -6.398 -2.839 1.761
C -4.022 1.860 -0.305
C -3.436 -0.133 -1.523
C 5.871 -2.787 -1.308
C 7.580 -2.711 0.437
C 6.499 0.489 1.448
C 2.364 0.678 0.411
C -2.123 0.018 -1.132
C 6.053 0.121 0.193
C -2.708 2.016 0.097
C 5.587 0.937 2.390
C 4.717 0.190 -0.139
C -7.208 -1.786 1.451
C -1.748 1.089 -0.311
C -6.581 -4.015 2.647
C 0.277 1.971 0.846
C -6.434 -1.025 0.530
C 3.798 0.652 0.801
C 4.241 1.018 2.071
C -4.373 0.790 -1.102
H 5.048 -2.693 -0.588
H -7.044 -3.715 3.583
H 5.922 1.222 3.376
H 7.555 0.428 1.662
H 0.178 0.407 -0.376
H -1.375 -0.693 -1.449
H -3.758 -0.955 -2.141
H -7.224 -4.751 2.166
H -2.431 2.848 0.722
H 8.477 -2.152 0.688
H 6.841 -2.605 1.242
H -4.781 2.567 -0.009
H -8.193 -1.573 1.809
H 5.612 -2.273 -2.230
H 4.390 -0.088 -1.128
H 3.538 1.338 2.827
H 6.038 -3.843 -1.520
+++

Don’t panic if you find more trainable parameters in the new_pruned_model summary, those came from the pruning wrappers which we will remove later.

Now let’s start the training and pruning model.

The test loss and accuracy of the pruned model should look similar to your original Keras model.

Export the pruned model

Those pruning wrappers can be removed easily like this, after which the total number of parameters should be the same as your original model.

final_model = sparsity.strip_pruning(pruned_model)

Now you can check the percentage of weights were pruned by comparing them to zero.

Here is the results, as you can see, 90% of convolution, dense and batch norm layers’ weights are pruned.

Pruned weights

nameTotal paraPruned%conv2d_2/kernel:080089.12%conv2d_2/bias:0320.00%batch_normalization_1/gamma:0320.00%batch_normalization_1/beta:0320.00%conv2d_3/kernel:0320.00%conv2d_3/bias:0320.00%dense_2/kernel:05120089.09%dense_2/bias:0640.00%dense_3/kernel:0321126489.09%dense_3/bias:010240.00%batch_normalization_1/moving_mean:01024089.09%batch_normalization_1/moving_variance:0100.00%

Now, simply using a generic file compression algorithm (e.g. zip), the Keras model will be reduced by x5 times.

Here is what you get, x5 times smaller model.

Size of the pruned model before compression: 12.52 Mb
Size of the pruned model after compression: 2.51 Mb

Convert Keras model to TensorFlow Lite

Tensorflow Lite is an example format you can use to deploy to mobile devices. To convert to a Tensorflow Lite graph, it is necessary to use the TFLiteConverter as below:

Then you can use a similar technique to zip the tflite file and reduce size x5 times smaller.

Post-training quantization converts weights to 8-bit precision as part of the model conversion from keras model to TFLite’s flat buffer, resulting in another 4x reduction in the model size. Just add the following line to the previous snippet before calling the convert().

converter.optimizations = [tf.lite.Optimize.OPTIMIZE_FOR_SIZE]

The compressed 8-bit tensorflow lite model only takes 0.60 Mb compared to the original Keras model’s 12.52 Mb while maintaining comparable test accuracy. That’s totally x16 times size reduction.

You can evaluate the accuracy of the converted TensorFlow Lite model like this where you feed the eval_model with the test dataset.

Conclusion and Further reading

In this tutorial, we showed you how to create sparse models with the TensorFlow model optimization toolkit weight pruning API. Right now, this allows you to create models that take significantly less space on the disk. The resulting model can also be more efficiently implemented to avoid computation; in the future, TensorFlow Lite will provide such capabilities.

Check out the official TensorFlow model optimization page and their GitHub page for more information.

The source code for this post is available on my Github and runnable on Google Colab Notebook.

Originally published at

